Hank Greenberg would be proud. The Beren Academy boys’ basketball team stands to forfeit their semi-final game on Friday because the game is scheduled after the start of the Jewish Sabbath. Beren, an Orthodox Jewish day school in the Houston area, will be knocked out of the championship tournament because the team refuses to violate their religious beliefs by playing on the Sabbath.
It seems that the Texas Association of Private and Parochial Schools (TAPPS), will hold fast to their “rules” which prevent tournaments from being rescheduled. An appeal by Beren to have the game rescheduled was unanimously rejected by the TAPPS’ Board. Could the Board’s vote be construed as anti-semetic, given that Beren is the only Jewish school among the 58 schools in TAPPS. Of the other 57, only 6 are non-Christian. Why would TAPPS’ inflexibility exhibited toward the only Jewish school possibly give rise to questions of anti-Semitism? Perhaps because the excuses emanating from TAPPS’ Executive Director, Ed Burelson, don’t seem to add up.
Mr. Burelson cites TAPPS’ “long-standing policy not to change the playoffs date — a rule that has been in place since TAPPS’ inception in 1978” — as the reason why Beren’s request for rescheduling their game was denied. There are at least two problems with that answer. First, the policy that Burleson falls back on is apparently not that hard and fast. Just last year, a Seventh Day Adventist school’s soccer semi-final playoff game was rescheduled to avoid a conflict of playing on the Sabbath (which is Saturday for Adventists). Second, the Executive Director — which would be Mr. Burelson — actually has the authority, per TAPPS’ By-Laws, to reschedule games:
“If it appears not to be feasible to hold a contest at the scheduled place or time because of weather, facilities, or other cause (emphasis added), the Director shall determine where, when, or if the contest will be held.” (TAPPS’ By-Laws, Sub-Chapter J — Contests, Section 75 — Rescheduling Contests)
It would appear that Executive Director Burelson, irrespective of the Board’s vote, would have the power to reschedule the Beren basketball game for “other causes.” Some might argue that rescheduling because of one school’s objection to playing on the Sabbath is simply not sufficient to justify the Executive Director acting. Well, how about Mr. Burelson fulfilling his responsibilities, among which are:
“to take such other, further, and reasonable actions that are necessary or desirable under and consistent with . . . the TAPPS Constitution, By-Laws, and Contest Rules”
If the TAPPS’ Board of Directors and Executive Director want to uphold the spirit of their own Constitution, they would do well to reacquint themselves with the purpose found in that document:
“The Purpose of TAPPS is and shall be to organize, to stimulate, to encourage and to promote the academic, athletic and fine arts programs in an effort to foster a spirit of fair play, good fellowship, true sportsmanship and wholesome competition for boys and girls.” (TAPPS’ Constitution)
How much more wholesome can TAPPS get than to encourage its member schools to stay true to their core values and principles, particularly when those values and principles have a religious foundation? And, wouldn’t “fostering a spirit of fair play” and demonstrating “good fellowship” necessitate TAPPS taking reasonable actions to accommodate the religious beliefs and practices of its member schools, even if the school’s religion was Judaism and not Christianity?
In a culture that not only despises people of faith (except if you have a certain other faith associated with the Middle East that is not called Judaism or Christianity), but which seems to celebrate every deviant sports’ figure, wouldn’t it be refreshing to see adults encourage young people to live out wholesome principles, particularly those principles which are rooted in a Judeo-Christian ethic? You would think the answer to that question would be yes, especially if the adults in question were primarily from a Christian background (some even from a Baptist background, which makes this sad given Baptists’ historic advocacy of religious freedom for all groups). But, alas, you would be wrong, at least in the case of TAPPS.
Inserted here: molecular data:
┌──
Density functional theory data (the ωB97M-V functional and the def2-TZVPD basis) for 2 unconnected molecules or ions with the total composition C2H2O4S at a distorted geometry.

Computed properties:
calculated total energy: -21129.2895 eV
ΔE to the lowest compared entry with this formula, charge and spin: 89.76 kJ/mol
spin multiplicity: 1
HOMO energy: -10.2 eV
orbital gap: 8.35 eV

Last columns: bonded neighbours and bond lengths (Å).
Positions of all 9 atoms, in Å:
1 C -0.98962 -0.50120 0.44850  C2 1.533, O3 1.241, H8 1.110
2 C -0.94792 0.78779 -0.38099  C1 1.533, O5 1.197, H9 1.227
3 O -0.66019 -1.60529 -0.01169  C1 1.241
4 O 2.21146 -0.36354 1.13555  S7 1.451
5 O -1.12330 1.86525 0.10918  C2 1.197
6 O 1.32339 0.23677 -1.00957  S7 1.440
7 S 2.01326 -0.76886 -0.24391  O4 1.451, O6 1.440
8 H -1.03822 -0.35205 1.54732  C1 1.110
9 H -0.78886 0.70112 -1.59438  C2 1.227

~~~~~

[1]
Computed, not measured: a cluster of 9 separate species, C36H63N9 in total in a non-equilibrium geometry, with wB97M-V/def2-TZVPD.

Structure (XYZ):
```
108
Properties=species:S:1:pos:R:3
C -22.8658 3.4505 17.5337
C -21.4698 3.2002 18.0842
C -21.3527 2.0721 19.0314
C -21.6798 0.7289 18.4903
N -21.7999 -0.3007 17.9628
H -22.8192 4.3517 16.9224
H -23.5703 3.6169 18.3486
H -23.1735 2.6542 16.8560
H -21.1431 4.1075 18.5923
H -20.7856 2.9570 17.2713
H -21.7956 2.3052 19.9997
H -20.3829 1.9058 19.5005
C -25.3465 7.6136 20.6666
C -25.6522 6.1132 20.9210
C -24.4727 5.3160 21.6718
C -23.1876 5.4904 20.9402
N -22.2118 5.6083 20.3967
H -26.0112 8.0541 19.9234
H -24.2637 7.7284 20.6175
H -25.5718 8.2043 21.5545
H -25.8622 5.6779 19.9441
H -26.6478 5.9833 21.3453
H -24.5562 4.2522 21.8945
H -24.2784 5.8644 22.5936
C -20.5947 1.7255 12.0343
C -21.2814 2.5938 13.2395
C -20.2240 3.2536 14.2052
C -19.2986 4.2280 13.6673
N -18.5717 5.0338 13.2168
H -21.2635 1.8006 11.1768
H -20.4237 0.6801 12.2911
H -19.5678 2.0790 11.9412
H -21.9605 1.9311 13.7758
H -21.8260 3.4260 12.7935
H -19.6930 2.4475 14.7115
H -20.7681 3.8374 14.9476
C -24.3549 -0.5827 23.1398
C -22.8147 -0.6971 22.8951
C -22.2364 0.5681 22.2874
C -22.4567 1.8547 23.0502
N -22.6048 2.8267 23.5968
H -24.7222 -1.4492 23.6896
H -24.9525 -0.5538 22.2287
H -24.6159 0.2000 23.8521
H -22.6197 -1.6110 22.3339
H -22.4652 -0.9315 23.9006
H -22.6345 0.7454 21.2883
H -21.1591 0.5950 22.1237
C -23.1617 -4.6992 17.7694
C -22.5148 -3.5736 18.5851
C -21.1921 -3.9531 19.2789
C -20.6721 -2.8529 20.1581
N -20.3548 -1.9880 20.8745
H -22.9890 -5.6305 18.3087
H -22.6749 -4.8346 16.8036
H -24.1967 -4.4802 17.5065
H -23.2147 -3.2825 19.3684
H -22.4216 -2.6558 18.0045
H -20.4286 -4.0377 18.5055
H -21.3258 -4.8511 19.8820
C -26.5160 2.6439 19.8706
C -27.2767 1.3340 19.7801
C -28.1274 1.2670 18.4507
C -27.2744 1.5827 17.3036
N -26.5969 1.8700 16.4264
H -27.1006 3.5638 19.8616
H -25.8086 2.6914 19.0426
H -25.9273 2.6864 20.7869
H -27.8466 1.0728 20.6718
H -26.4603 0.6195 19.6745
H -29.0885 1.7397 18.6528
H -28.3549 0.2098 18.3144
C -26.1462 6.0069 17.2550
└──
What would happen if one of TAPP’s 51 Christian schools had a championship game scheduled for the Christian Sabbath — Sunday? Would the team forfeit the game rather than violate their principles? Luckily for the non-Jewish schools of TAPPS, they will never have to face that question because no games or activities of any kind are ever scheduled for a Sunday. Sadly, from my own observations, the answer to that question wouldn’t matter anyway. It seems that far too many “Christian” athletes and parents almost always put sports ahead of religious values and principles, even above worship on Sundays. Perhaps we could learn a thing or two from our Jewish brethren who demonstrated that some things are more important than playing basketball. This one’s for Hank:
Came Yom Kippur
A Hank Greenberg Poem |
Author: Edgar Guest ©. Published: 1934. Appeared In: Detroit Free Press |
“Came Yom Kippur — holy fast day world wide over to the Jew, And Hank Greenberg to his teaching and the old tradition true Spent the day among his people and he didn’t come to play. Said Murphy to Mulrooney, ‘We shall lose the game today! We shall miss him on the infield and shall miss him at the bat But he’s true to his religion — and I honor him for that!'” |
Came Yom Kippur A Hank Greenberg Poem by Edgar Guest |
I wish more Baptists had similar respect for their day of worship.
You might expect this from a secular organization, but from a predominantly Christian group? This is particularly disheartening in light of the current attack on religious liberties.
But beyond religious respect (or tolerance), whatever happened to simple, common courtesy?
I agree. I don’t know about in Virginia, but here in NM, Wednesday nights are lost to school and sporting events. The Christian school that my wife teaches at and my three boys attend even rescheduled my oldest son’s basketball game on a Wednesday night. I told them that this was acceptable and should not be done in the future. Sundays are even being lost, with kids involved in two-day events and competitions and even some practices and games which are now scheduled on Sundays. I really don’t blame the kids for wanting to play — I blame the parents for not taking a stand and saying, “Not on Sunday!” That a predominantly Christian organization would not understand the importance of Sabbath worship — even if it wasn’t “their” Sabbath — is sad indeed. Thanks for stopping by. Hope you have a blessed day in ministry! God bless,
So what will the kids be doing on Friday night during the time that they are not compromising their beliefs? Playing video games?
I can’t speak for those Jewish students, but I would expect behavior consistent with their values and principles, not hypocrisy as you imply in your comment. That maybe what “Christians” would do instead, but my experience with my conservative/orthodox best friend in college, who was Sabbath observant and kept Kosher, was that he did try to observe the Sabbath through worship attendance and by what he did not do (i.e., watch television or play video games). Maybe it would be better to encourage the kids and their parents in trying not to compromise their beliefs, even if we understand that they (nor we) will always do it perfectly. Of course, that’s why Jesus Christ came to die on the cross — the perfect substitutionary sacrifice for our sins — so that we would be free from the law and saved by grace through faith. From law to grace — kind of has a nice ring to it 🙂 Thanks for reading and taking the time to comment today. God bless,
I understand. My cynicism of the nature of high school boys is showing.
They will be in synagogue praying and then at home enjoying a festive meal with their families. Then they will either read, play board games or go to sleep. The use of electronics is not allowed on Shabbat.
Yes, I’m sure they will.
Pastor Scott:
I am sorry, but rather than claiming that this was “anti-Semitic” or any other form of bigotry, I am more inclined to state that if one wants to join an organization and receive its benefits, that person or entity should do so with the expectation of adhering to its rules and general norms. As this is a private organization, this school should not expect to receive special accommodations to their religion because they are Jews. If the organization chooses to accommodate them, fine, but there should be no burden to do so on the organization or expectation of it by any member.
And I totally reject the “Judeo-Christian” thing. Christianity is the true religion that worships and glorifies Christ. Judaism is a false religion that denies, despises and rejects Jesus Christ. What Romans 11:7-8 says is true: the Jews have been blinded, and moreover they have been blinded by God. Now all Israel will be saved, but that will only happen when the great commission is fulfilled according to Romans 11:25. Until then, like all other false religions, Jews are enemies of the gospel; are literally anti-Christ according to 1 John 2:18-23, 1 John 4:1-7, and 2 John 1:7-11. We know that those who practice this Jewish religion are not exempt from those texts, because the context specifically (though not solely) includes them, just as it does in Revelation 2:9 and 3:9. Thus “Judeo-Christian” makes as much sense as “Muslim-Christian” or “Hindu-Christian” because it represents an attempt to mix the truth with a lie; to place those who worship Christ in unity with those who reject Him; to place that which God has declared to be holy intermingled with that which is profane, corrupt and worldly instead of keeping the two separate.
**Here the piece breaks off for molecular data:**
'''
Molecular formula: C2N4O3S
Method: DFT, wB97M-V/def2-TZVPD

Structure (XYZ):
```
10
Properties=species:S:1:pos:R:3:forces:R:3:lowdin_spin:R:1
C 0.6603 -0.3132 -0.0035 0.026 -0.872 0.817 0.072
C -0.4097 0.4137 0.7780 1.816 -1.302 -0.108 0.526
N 1.2547 -0.1028 -1.1581 -0.224 2.353 -1.118 0.051
N 1.2310 -1.4411 0.5215 -2.895 0.407 2.656 0.040
N 2.1955 -1.0278 -1.3168 -0.834 -0.409 -0.736 0.021
N 2.0729 -1.8640 -0.3143 2.880 -0.897 -0.952 0.010
O -2.4979 2.0879 0.7422 1.015 -0.249 -1.377 0.187
O -0.3407 0.6015 2.0123 -0.443 0.403 -0.603 0.513
O -2.4820 0.2732 -0.9480 0.888 0.898 0.049 0.239
S -1.6842 1.3726 -0.3133 -2.227 -0.332 1.371 0.342
```
Positions in Å, forces in eV/Å.

## Properties
- Net charge: -2
- Frontier orbital gap (spin up / spin down): 4.17 / 6.97 eV
- <S²>: 2.0149
- LUMO (spin up / spin down): 6.11 / 5.75 eV
- 2S+1: 3
- Total energy: -25007.987 eV

----------

No. 1
This record from OMol25 describes one molecule with the formula C3H5NO. The level of theory is ωB97M-V/def2-TZVPD.

ORCA input file:
```
! RIJCOSX wB97M-V def2-TZVPD def2/J DEFGRID3
* xyz 0 1
O -0.480 2.146 -0.233
C -0.252 0.975 -0.123
C -0.517 -0.090 0.946
N 0.194 -1.078 0.098
C 0.415 -0.096 -0.993
H -0.107 0.111 1.944
H -1.584 -0.321 1.043
H 1.054 -1.416 0.517
H 1.446 0.099 -1.309
H -0.169 -0.329 -1.889
*
```

Calculated values
ΔE to the lowest compared entry with this formula, charge and spin = 29.9 kcal/mol
SMILES = O=C1CNC1
gap between HOMO and LUMO = 10.6 eV
energy = -247.25961 hartree

No. 2
This record from OMol25 describes C3H5NO as an isolated structure. The level of theory is ωB97M-V/def2-TZVPD.

ORCA input file:
```
! RIJCOSX wB97M-V def2-TZVPD def2/J DEFGRID3
* xyz 0 1
N -0.056 1.283 -1.344
C -0.100 0.303 -0.380
C 0.235 0.228 0.914
C -0.209 -1.202 0.835
O -0.561 -0.973 -0.585
H 0.031 0.966 -2.300
H 0.453 0.948 1.681
H 0.717 1.894 -1.115
H -1.079 -1.479 1.436
H 0.571 -1.968 0.858
*
```

Calculated values
ΔE to the lowest compared entry with this formula, charge and spin = 41.9 kcal/mol
gap between HOMO and LUMO = 9.1 eV
energy = -247.24052 hartree

No. 3
This record from OMol25 describes a 2-piece molecular cluster, C3H5NO overall. The level of theory is ωB97M-V/def2-TZVPD.

ORCA input file:
```
! RIJCOSX wB97M-V def2-TZVPD def2/J DEFGRID3
* xyz 0 1
C -1.274 1.451 -0.258
O -1.475 0.717 -1.194
C 1.063 -1.253 -0.728
C 0.892 -0.748 0.467
N 0.755 -0.188 1.555
H -2.020 1.585 0.551
H -0.341 2.034 -0.151
H 0.153 -0.686 2.211
H 0.390 -0.949 -1.521
H 1.855 -1.963 -0.931
*
```

Calculated values
ΔE to the lowest compared entry with this formula, charge and spin = 52.3 kcal/mol
SMILES = C=C=N.C=O
gap between HOMO and LUMO = 10.1 eV
energy = -247.22384 hartree

No. 4
This record from OMol25 describes one molecule with the formula C3H5NO in a non-equilibrium geometry. The level of theory is ωB97M-V/def2-TZVPD.

ORCA input file:
```
! RIJCOSX wB97M-V def2-TZVPD def2/J DEFGRID3
* xyz 0 1
C -1.019 0.795 0.328
O -0.709 0.016 -0.812
C 0.490 -0.718 -0.769
C 1.308 -0.502 0.441
'''
“Perhaps we could learn a thing or two from our Jewish brethren …”
No we can’t. And Jews are not our brethren. At least no more so than Muslims and atheists are. Now of course, Romans 11 and elsewhere in scripture declares that Jews are our brethren according to our election; that Jews are the original branch and we are grafted in. But in terms of their false religion, practices, superstitions etc. we cannot and should not learn a thing from them, and the Bible says so in Titus 1:14, Titus 3:9, 1 Timothy 1:4 and 4:6 etc. Can we learn from the Muslim practice of Ramadan and praying 5 times a day? Or the fact that Hindus “speak in tongues” (seriously, they do) or their fasting rituals? The only reason why Jews are so attached to the Sabbath is because they reject the fact that the Jesus Christ fulfills and is our Sabbath according to Hebrews 4. So, you want the Christians in this private organization to be compelled to respect the lies of the Jews against the truth that is Jesus Christ? Were this of the government, then Jews would receive protections under the First Amendment, along with the Muslims, Hindus, Wiccans, Mormons, Catholics, atheists and all the other abominations, because you join up with the state you have to play by their rules. But one of the main reasons why private organizations SHOULD exist is because the state can’t force them to accept the false claim that Christianity and any other false religion or ideology (including Judaism) are equal and therefore deserve equal respect and accommodation derived from it.
“In a culture that not only despises people of faith (except if you have a certain other faith associated with the Middle East that is not called Judaism or Christianity)”
Please provide where this group accommodates the demands of Muslims. But even if they do … they’re a private group. Private groups have the right to discriminate, and should exercise that right. Jewish groups (charities etc.) do exist, and I would presume that they wouldn’t want to have to accommodate the demands that any Neo-Nazis would impose.
“First, the policy that Burleson falls back on is apparently not that hard and fast.”
Burleson has the right to exercise his discretion as he sees fit. If he used that discretion to accommodate Seventh Day Adventists but not Jews, that is his discretion. Playing the anti-Semitism card because he did not is inappropriate. The idea that Christians should want him to based on anything that Jews and Christians allegedly share – as if Jews and Christians are somehow theological allies – is an utter falsehood.
First, I didn’t say that what Burelson and TAPPS did was anti-semetic. I think it was stupid and contrary to their stated purpose, but they have every right to be stupid. I would defend their right to exercise their discrestion, but it seems that they want it both ways. TAPPS is free to be hypocritical all they want, particularly when there is not the slightest possibility of Christian schools having to choose whether or not to play on Sunday. You would think that a predominently Christian organization would applaud those who wanted to show reverence for the Sabbath.
As to your theological rant (and that’s about as kind a word as I can use), I think you and I shall have to agree to disagree on the strong language that you employ to describe Judaism in general and “Jews” in particular. I think your language (I hope unintentionally) could be perceived as bordering on anti-semetic itself. Please do not misunderstand me to say that you are anti-semetic, but please review the language that you used to convey your opinions. While I agree that it is only through faith in Jesus Christ and His atoning work on the cross that saves, I believe it is a mistake to categorize Judaism with Islam and Hinduism, particularly in the way that you did.
Lastly, to say that we can learn “nothing” from our Jewish brethren (used in a colloquial sense, not a theological sense) is absurd on its face and offensive. And, while not all my Jewish friends could be considered “brothers-in-Christ,” I can assure you that I have Jewish brethren that I would defend with my life and my sacred honor. Thanks and God bless,